=====
Entry 1:
Starting from a PBE-relaxed structure, the powder diffraction line list of Tb4Nd2SmHo was computed for Cu Kα (weighted mean of Kα1 and Kα2).
Kinematic intensities with the Lorentz-polarization factor, no thermal factor.

```
data_Tb4Nd2SmHo
_space_group_name_H-M_alt 'C 1 2/c 1'
_space_group_IT_number 15
_space_group_name_Hall '-C 2yc'
_cell_length_a 13.7028
_cell_length_b 13.3114
_cell_length_c 6.8489
_cell_angle_alpha 90.00
_cell_angle_beta 119.98
_cell_angle_gamma 90.00
loop_
_atom_site_label
_atom_site_fract_x
_atom_site_fract_y
_atom_site_fract_z
_atom_site_occupancy
Tb1 0.0001 0.2454 0.0004 1
Tb2 0.2461 0.0003 0.4953 1
Nd1 0.0000 0.5000 0.0000 1
Nd2 0.2500 0.2500 0.0000 1
Sm1 0.2500 0.2500 0.5000 1
Ho1 0.0000 0.0000 0.0000 1
```

Top 6 peaks for 10 to 80 degrees two-theta, by angle:
- (0 4 0), 3.328 Å, intensity 45
- (0 0 2), 2.966 Å, intensity 100
- (0 4 2), 2.214 Å, intensity 88
- (4 0 -4), 1.713 Å, intensity 20
- (4 4 -4), 1.523 Å, intensity 27
- (0 8 2), 1.451 Å, intensity 23

=====

Entry 2:
Starting from a PBE-relaxed structure, the powder diffraction line list of TbNd6SmHo2 was computed for Cu Kα (weighted mean of Kα1 and Kα2).
Kinematic intensities with the Lorentz-polarization factor, no thermal factor.

```
data_TbNd6SmHo2
_space_group_name_H-M_alt 'C 1 2/c 1'
_space_group_IT_number 15
_space_group_name_Hall '-C 2yc'
_cell_length_a 9.2812
_cell_length_b 15.3291
_cell_length_c 9.7197
_cell_angle_alpha 90.00
_cell_angle_beta 97.77
_cell_angle_gamma 90.00
loop_
_atom_site_label
_atom_site_fract_x
_atom_site_fract_y
_atom_site_fract_z
_atom_site_occupancy
Tb1 0.0000 0.0287 0.2500 1
Nd1 0.0635 0.1766 0.9452 1
Nd2 0.0980 0.3920 0.1192 1
Nd3 0.2108 0.2243 0.3149 1
Sm1 0.0000 0.4085 0.7500 1
Ho1 0.2461 0.0485 0.5463 1
```

Top 6 peaks for 10 to 80 degrees two-theta, by angle:
- (1 3 2), 3.172 Å, intensity 42
- (3 1 -1), 2.984 Å, intensity 53
- (0 2 3), 2.961 Å, intensity 47
- (1 5 0), 2.908 Å, intensity 38
- (2 2 2), 2.889 Å, intensity 100
- (1 3 -3), 2.692 Å, intensity 37

=====

Entry 3:
Starting from a PBE-relaxed structure, the powder diffraction line list of Tb2NdSmHo5 was computed for Cu Kα (weighted mean of Kα1 and Kα2).
Kinematic intensities with the Lorentz-polarization factor, no thermal factor.

```
data_Tb2NdSmHo5
_space_group_name_H-M_alt 'I 4/m c m'
_space_group_IT_number 140
_space_group_name_Hall '-I 4 2c'
_cell_length_a 8.8130
_cell_length_b 8.8130
_cell_length_c 15.0230
_cell_angle_alpha 90.00
_cell_angle_beta 90.00
_cell_angle_gamma 90.00
loop_
_atom_site_label
_atom_site_fract_x
_atom_site_fract_y
_atom_site_fract_z
_atom_site_occupancy
Tb1 0.1149 0.3851 0.0000 1
Nd1 0.0000 0.0000 0.2500 1
Sm1 0.0000 0.5000 0.2500 1
Ho1 0.0000 0.0000 0.0000 1
Ho2 0.2054 0.2946 0.3664 1
```

Top 6 peaks for 10 to 80 degrees two-theta, by angle:
- (2 2 0), 3.116 Å, intensity 51
- (2 1 3), 3.097 Å, intensity 52
- (2 0 4), 2.858 Å, intensity 100
- (3 2 1), 2.413 Å, intensity 20
- (4 0 2), 2.115 Å, intensity 23
- (4 2 4), 1.745 Å, intensity 19

=====

Entry 4:
Starting from a PBE-relaxed structure, the powder diffraction line list of NdSm2Ho2Th2 was computed for Cu Kα (weighted mean of Kα1 and Kα2).
Kinematic intensities with the Lorentz-polarization factor, no thermal factor.

```
data_NdSm2Ho2Th2
_space_group_name_H-M_alt 'C 1 2/m 1'
_space_group_IT_number 12
_space_group_name_Hall '-C 2y'
_cell_length_a 11.6125
_cell_length_b 3.4415
_cell_length_c 12.0354
_cell_angle_alpha 90.00
_cell_angle_beta 102.82
_cell_angle_gamma 90.00
loop_
_atom_site_label
_atom_site_fract_x
_atom_site_fract_y
_atom_site_fract_z
_atom_site_occupancy
Nd1 0.0000 0.0000 0.0000 1
Sm1 0.2050 0.5000 0.8604 1
Ho1 0.1533 0.5000 0.5679 1
Th1 0.0949 0.5000 0.2790 1
```

Top 6 peaks for 10 to 80 degrees two-theta, by angle:
- (1 1 0), 3.293 Å, intensity 44
- (2 0 3), 2.929 Å, intensity 100
- (4 0 -1), 2.903 Å, intensity 81
- (2 0 -4), 2.879 Å, intensity 86
- (1 1 -3), 2.603 Å, intensity 47
- (3 1 0), 2.543 Å, intensity 56

=====

Entry 5:
=====

What is needed: copy all of the data earlier on unchanged.

Entry 1:
Starting from a PBE-relaxed structure, the powder diffraction line list of Tb4Nd2SmHo was computed for Cu Kα (weighted mean of Kα1 and Kα2).
Kinematic intensities with the Lorentz-polarization factor, no thermal factor.

```
data_Tb4Nd2SmHo
_space_group_name_H-M_alt 'C 1 2/c 1'
_space_group_IT_number 15
_space_group_name_Hall '-C 2yc'
_cell_length_a 13.7028
_cell_length_b 13.3114
_cell_length_c 6.8489
_cell_angle_alpha 90.00
_cell_angle_beta 119.98
_cell_angle_gamma 90.00
loop_
_atom_site_label
_atom_site_fract_x
_atom_site_fract_y
_atom_site_fract_z
_atom_site_occupancy
Tb1 0.0001 0.2454 0.0004 1
Tb2 0.2461 0.0003 0.4953 1
Nd1 0.0000 0.5000 0.0000 1
Nd2 0.2500 0.2500 0.0000 1
Sm1 0.2500 0.2500 0.5000 1
Ho1 0.0000 0.0000 0.0000 1
```

Top 6 peaks for 10 to 80 degrees two-theta, by angle:
- (0 4 0), 3.328 Å, intensity 45
- (0 0 2), 2.966 Å, intensity 100
- (0 4 2), 2.214 Å, intensity 88
- (4 0 -4), 1.713 Å, intensity 20
- (4 4 -4), 1.523 Å, intensity 27
- (0 8 2), 1.451 Å, intensity 23

=====

Entry 2:
Starting from a PBE-relaxed structure, the powder diffraction line list of TbNd6SmHo2 was computed for Cu Kα (weighted mean of Kα1 and Kα2).
Kinematic intensities with the Lorentz-polarization factor, no thermal factor.

```
data_TbNd6SmHo2
_space_group_name_H-M_alt 'C 1 2/c 1'
_space_group_IT_number 15
_space_group_name_Hall '-C 2yc'
_cell_length_a 9.2812
_cell_length_b 15.3291
_cell_length_c 9.7197
_cell_angle_alpha 90.00
_cell_angle_beta 97.77
_cell_angle_gamma 90.00
loop_
_atom_site_label
_atom_site_fract_x
_atom_site_fract_y
_atom_site_fract_z
_atom_site_occupancy
Tb1 0.0000 0.0287 0.2500 1
Nd1 0.0635 0.1766 0.9452 1
Nd2 0.0980 0.3920 0.1192 1
Nd3 0.2108 0.2243 0.3149 1
Sm1 0.0000 0.4085 0.7500 1
Ho1 0.2461 0.0485 0.5463 1
```

Top 6 peaks for 10 to 80 degrees two-theta, by angle:
- (1 3 2), 3.172 Å, intensity 42
- (3 1 -1), 2.984 Å, intensity 53
- (0 2 3), 2.961 Å, intensity 47
- (1 5 0), 2.908 Å, intensity 38
- (2 2 2), 2.889 Å, intensity 100
- (1 3 -3), 2.692 Å, intensity 37

=====

Entry 3:
Starting from a PBE-relaxed structure, the powder diffraction line list of Tb2NdSmHo5 was computed for Cu Kα (weighted mean of Kα1 and Kα2).
Kinematic intensities with the Lorentz-polarization factor, no thermal factor.

```
data_Tb2NdSmHo5
_space_group_name_H-M_alt 'I 4/m c m'
_space_group_IT_number 140
_space_group_name_Hall '-I 4 2c'
_cell_length_a 8.8130
_cell_length_b 8.8130
_cell_length_c 15.0230
_cell_angle_alpha 90.00
_cell_angle_beta 90.00
_cell_angle_gamma 90.00
loop_
_atom_site_label
_atom_site_fract_x
_atom_site_fract_y
_atom_site_fract_z
_atom_site_occupancy
Tb1 0.1149 0.3851 0.0000 1
Nd1 0.0000 0.0000 0.2500 1
Sm1 0.0000 0.5000 0.2500 1
Ho1 0.0000 0.0000 0.0000 1
Ho2 0.2054 0.2946 0.3664 1
```

Top 6 peaks for 10 to 80 degrees two-theta, by angle:
- (2 2 0), 3.116 Å, intensity 51
- (2 1 3), 3.097 Å, intensity 52
- (2 0 4), 2.858 Å, intensity 100
- (3 2 1), 2.413 Å, intensity 20
- (4 0 2), 2.115 Å, intensity 23
- (4 2 4), 1.745 Å, intensity 19

=====

Entry 4:
Starting from a PBE-relaxed structure, the powder diffraction line list of NdSm2Ho2Th2 was computed for Cu Kα (weighted mean of Kα1 and Kα2).
Kinematic intensities with the Lorentz-polarization factor, no thermal factor.

```
data_NdSm2Ho2Th2
_space_group_name_H-M_alt 'C 1 2/m 1'
_space_group_IT_number 12
_space_group_name_Hall '-C 2y'
_cell_length_a 11.6125
_cell_length_b 3.4415
_cell_length_c 12.0354
_cell_angle_alpha 90.00
_cell_angle_beta 102.82
_cell_angle_gamma 90.00
loop_
_atom_site_label
_atom_site_fract_x
_atom_site_fract_y
_atom_site_fract_z
_atom_site_occupancy
Nd1 0.0000 0.0000 0.0000 1
Sm1 0.2050 0.5000 0.8604 1
Ho1 0.1533 0.5000 0.5679 1
Th1 0.0949 0.5000 0.2790 1
```

Top 6 peaks for 10 to 80 degrees two-theta, by angle:
- (1 1 0), 3.293 Å, intensity 44
- (2 0 3), 2.929 Å, intensity 100
- (4 0 -1), 2.903 Å, intensity 81
- (2 0 -4), 2.879 Å, intensity 86
- (1 1 -3), 2.603 Å, intensity 47
- (3 1 0), 2.543 Å, intensity 56

=====

Entry 5: